Friday, January 24, 2014

Art and the 2nd grader

I love words. My husband loves words. Our oldest son loves words. Words are magical for me; I would be perfectly content to hang out on a deserted island for all of eternity as long as there were books to keep me company. (And potatoes. I decided a while back that if I had to live with only one food it would be potatoes. They make me happy.) My husband first won me over with a poem he wrote that secretly hid my name within the lines. *swoon* When the boy came along, I knew it was love when he picked up a board book and backed into my lap on his first night home (in between bouts of hysterical crying of course). He sleeps with books, takes them everywhere he goes, and even reads the cereal box and milk carton at breakfast. Which makes me grin because I used to do THE EXACT SAME THING when I was a kid. So you get the picture. We love words.
Art is a different story. Don't get me wrong, I appreciate beautiful paintings and photographs, and we have several wonderful pieces in our house. Hubby and I enjoy art galleries and were hugely disappointed when we tried to see a van Gogh exhibit in DC several years ago and didn't join the entrance line in time (there were a limited number of tickets). But a general feeling of, "I like this one" or "I don't like that one" is the extent of my art knowledge. When my son's teacher asked me to chaperone their class trip to the art gallery, I knew I wouldn't be much help with the explaining parts, but I went anyway. We had a stern, soft-spoken woman as our docent. She was the kind of person who would not hesitate to rap the knuckles of any child caught too close to the artwork, were she allowed to do that sort of thing. Our group would look at a piece of art, I would try to figure out what the artist was trying to say, and then our docent would explain the meaning of the piece. I was wrong EVERY TIME. Now, I know art, like words, is subject to interpretation. But I was just so completely off it was laughable.
Then it got worse. The students began giggling at the nudity in paintings, and a little girl passed by a Jackson Pollack and said to  me, "That looks messy. How come that's art?"  The docent showed us a painting that was an orange rectangle and a yellow rectangle and my son started making this weird noise, like he was a cartoon character who swallowed sleeping pills. Embarrassed, I reprimanded him, which put him in a bad mood for the rest of the trip. He wouldn't talk to me or any of his friends on the bus ride home, and later he told me it was "the worst field trip ever" and that "some of those paintings were really inappropriate." I tried to explain how nudity in art is okay and that sometimes we like a painting and sometimes we don't. But that's all I had. I looked at him and thought, give me some poetry and I can explain what it means and why it is great, but art...
Is it wrong to have a kid that's just not into art? He likes to draw comic strips and read graphic novels, but his artwork is never chosen to hang in the hallways at school and the bottom line is: he's a word kid. Our youngest has always loved to draw and will spend hours molding play dough and creating elaborate collages at home and school. Hopefully when it is his turn to go to the art gallery he will be inspired and not bored. And he won't ask me to explain what it all means.

1 comment:

What comes next are data records, not part of the piece:
~~~
# 1
{
  "formula": "C6H10N",
  "method": "ωB97M-V/def2-TZVPD",
  "elements": ["C", "C", "C", "C", "C", "C", "N", "H", "H", "H", "H", "H", "H", "H", "H", "H", "H"],
  "positions_angstrom": [[0.194, -0.219, 0.139], [0.438, 0.711, -1.029], [3.391, 0.070, -0.570], [1.500, -0.658, 0.779], [-1.007, -0.779, 0.342], [-2.263, -0.055, 0.016], [2.713, -0.410, 0.217], [1.054, 1.540, -0.704], [0.901, 0.074, -1.768], [4.235, 0.668, -0.965], [-0.489, 1.096, -1.350], [1.257, -0.133, 1.746], [1.485, -1.783, 0.957], [-1.031, -1.374, 1.197], [-2.360, 0.758, 0.715], [-3.104, -0.771, 0.091], [-2.045, 0.449, -0.918]],
  "forces_ev_per_a": [[5.0, 1.2, -4.1], [-0.7, -0.3, 2.2], [3.2, 4.6, -6.8], [-2.8, -2.2, 0.6], [-3.0, 1.5, 2.1], [0.9, -1.9, -0.9], [-1.9, -1.9, 6.1], [0.5, 0.0, -0.3], [0.5, 0.1, -0.5], [-0.1, -1.4, 0.9], [-0.7, 0.5, -0.9], [1.2, -0.4, 0.2], [-0.5, 1.3, 0.3], [-0.3, -2.0, 1.0], [-0.2, 0.4, 0.8], [0.1, 0.9, -0.4], [-1.1, -0.2, -0.5]],
  "homo_energy_ev": [-9.6, -15.8],
  "spin_multiplicity": 3,
  "de_lowest_kcal_mol": 93.1,
  "orbital_gap_ev": [5.236, 7.522],
  "charge": 1
}

=====

# 2
{
  "formula": "C21H24CuI2NPS",
  "method": "ωB97M-V/def2-TZVPD",
  "elements": ["Cu", "I", "C", "I", "H", "H", "N", "S", "C", "C", "C", "C", "C", "C", "C", "C", "C", "C", "C", "C", "H", "H", "H", "H", "H", "H", "H", "H", "H", "H", "H", "C", "P", "C", "C", "C", "C", "C", "C", "C", "H", "H", "H", "H", "H", "H", "H", "H", "H", "H", "H"],
  "positions_angstrom": [[0.032, -0.705, 0.149], [-1.010, -1.706, 2.634], [-2.257, -3.156, 1.655], [-2.684, -2.962, -0.457], [-3.188, -3.090, 2.223], [-1.789, -4.124, 1.757], [-1.044, 0.774, -0.038], [-1.026, 1.796, -1.282], [-2.511, 2.779, -1.027], [-2.474, 4.193, -1.186], [-3.479, 5.020, -0.676], [-4.657, 4.366, -0.294], [-4.737, 2.989, -0.154], [-3.636, 2.229, -0.402], [0.347, 2.936, -1.069], [1.039, 3.338, -2.172], [2.012, 4.330, -2.006], [2.255, 4.924, -0.771], [1.508, 4.553, 0.334], [0.626, 3.516, 0.198], [-1.100, 1.273, 0.810], [-1.607, 4.622, -1.752], [-3.408, 6.160, -0.857], [-5.549, 5.013, -0.075], [-5.610, 2.513, 0.305], [-3.636, 1.132, -0.258], [0.745, 2.941, -3.180], [2.528, 4.656, -2.865], [3.092, 5.674, -0.778], [1.675, 5.088, 1.275], [-0.070, 3.280, 0.989], [1.835, -2.938, -1.863], [1.593, -2.180, -0.255], [3.087, -1.270, -0.098], [1.560, -3.576, 0.875], [2.527, -3.873, 1.875], [2.461, -5.107, 2.545], [1.541, -6.093, 2.168], [0.612, -5.817, 1.168], [0.683, -4.642, 0.482], [0.995, -3.487, -2.245], [2.706, -3.582, -1.725], [2.020, -2.162, -2.620], [3.951, -1.937, -0.404], [3.252, -0.911, 0.942], [3.112, -0.331, -0.735], [3.355, -3.174, 2.123], [3.099, -5.293, 3.392], [1.445, -6.999, 2.747], [-0.172, -6.551, 0.896], [-0.048, -4.428, -0.300]],
~~~

Unknown said...

Art is in the eye of the beholder, right? Comic strips and graphic novels are art to me. :)